What to do >
Retype all of the calculation results underneath without altering anything.

Source >
____________
Density functional theory data (ωB97M-V/def2-TZVPD) for the molecule C16H19N3O6 in a non-equilibrium geometry.

Cartesian coordinates (Å):
C1 -3.209 -2.666 -0.726
C2 -4.384 -1.743 -0.449
O1 -3.953 -0.405 -0.588
C3 -4.989 0.540 -0.434
C4 -4.423 1.948 -0.604
C5 -3.503 2.349 0.549
N1 -2.312 1.534 0.580
C6 -1.079 2.066 0.517
O2 -0.847 3.258 0.519
C7 0.043 1.055 0.477
C8 -0.302 -0.282 0.720
N2 -0.639 -1.360 0.946
C9 1.287 1.530 0.247
C10 2.547 0.835 0.156
C11 2.666 -0.564 0.268
C12 3.887 -1.197 0.185
O3 4.083 -2.527 0.285
C13 2.966 -3.361 0.497
C14 5.075 -0.437 -0.023
O4 6.220 -1.098 -0.094
C15 4.944 0.958 -0.139
N3 6.084 1.788 -0.351
O5 5.923 2.981 -0.451
O6 7.186 1.247 -0.424
C16 3.697 1.580 -0.051
H1 -3.517 -3.700 -0.601
H2 -2.856 -2.519 -1.743
H3 -2.394 -2.448 -0.041
H4 -5.205 -1.940 -1.156
H5 -4.769 -1.903 0.570
H6 -5.771 0.358 -1.188
H7 -5.451 0.433 0.562
H8 -5.253 2.653 -0.658
H9 -3.867 1.990 -1.541
H10 -3.182 3.388 0.443
H11 -4.037 2.241 1.501
H12 -2.464 0.543 0.430
H13 1.335 2.606 0.117
H14 1.775 -1.146 0.422
H15 2.253 -3.295 -0.331
H16 2.456 -3.118 1.434
H17 3.366 -4.371 0.552
H18 6.956 -0.454 -0.238
H19 3.655 2.655 -0.144

## Properties
**Max |F|**: 1.45 eV/Å
**Kohn-Sham gap**: 7.8 eV
**Structure (SMILES)**: CCOCCCNC(=O)/C(C#N)=C/c1cc(OC)c(O)c([N+](=O)[O-])c1
**LUMO**: -0.9 eV
**HOMO energy**: -8.71 eV


DFT (the ωB97M-V functional and the def2-TZVPD basis) results for 2 unconnected molecules or ions with the total composition C4H12N2O2 at a distorted geometry.

Last column: natural (NBO) charge in e.
Geometry (Å):
O -0.872 -1.066 1.868  -0.60
O 2.840 -2.270 0.460  -0.93
N -0.771 1.080 1.216  -0.68
N 0.628 2.354 -0.289  -0.87
C -1.491 -0.853 -0.409  -0.53
C -1.047 -0.319 0.977  0.70
C -0.247 -1.160 -1.258  -0.61
C -0.742 2.043 0.046  -0.05
H 0.774 2.345 -1.370  0.36
H 1.382 1.728 0.026  0.38
H -1.237 3.124 0.620  0.14
H -0.037 1.308 2.027  0.41
H 3.655 -2.696 0.802  0.46
H 0.703 -0.562 -0.828  0.21
H 2.559 -1.903 1.287  0.46
H -2.417 -0.328 -0.664  0.23
H -0.177 -0.728 -2.262  0.22
H -0.056 -2.207 -1.209  0.23
H -1.506 1.989 -0.773  0.22
H -1.943 -1.880 -0.269  0.24

Computed properties:
- structure (SMILES) = CCC(=O)NCN.O
- relative energy (zero: lowest compared OMol25 entry of this formula, charge and spin) (kcal per mole) = 82.0
- total charge = 0
- energy (eV) = -11415.6592



DFT (the ωB97M-V functional and the def2-TZVPD basis) results for C4H12N2O2 in the gas phase at a distorted geometry.

Last column: natural (NBO) charge in e.
Geometry (Å):
O -1.819 -0.617 0.953  -0.74
O -2.238 1.037 -0.648  -0.72
N 0.686 -0.940 -0.532  -0.63
N 1.431 1.306 -0.604  -0.85
C -1.873 -0.300 -0.414  0.33
C 0.943 0.246 0.261  0.11
C -0.530 -0.943 -1.266  -0.23
C 1.929 -0.058 1.379  -0.62
H 1.735 2.121 -0.085  0.36
H -0.462 -0.275 -2.128  0.19
H 2.904 -0.290 0.958  0.22
H 0.728 1.599 -1.270  0.35
H 2.033 0.811 2.023  0.21
H -2.716 -0.841 -0.869  0.14
H -2.664 -0.383 1.356  0.48
H -0.085 0.534 0.678  0.14
H -0.777 -1.962 -1.557  0.21
H 1.585 -0.898 1.980  0.21
H 0.750 -1.760 0.060  0.37
H -1.561 1.615 -0.274  0.47

Computed properties:
- structure (SMILES) = C[C@@H](N)NCC(O)O
- relative energy (zero: lowest compared OMol25 entry of this formula, charge and spin) (kcal per mole) = 52.7
- total charge = 0
- energy (eV) = -11416.9332



DFT (the ωB97M-V functional and the def2-TZVPD basis) results for 2 unconnected molecules or ions with the total composition C4H12N2O2 at a distorted geometry.

Last column: natural (NBO) charge in e.
Geometry (Å):
O -0.448 -2.050 -0.720  -0.60
O 2.160 -0.207 1.447  -0.97
N -0.550 -0.095 0.510  -0.48
N 1.593 0.058 -1.728  -0.83
C -0.414 -0.848 -0.703  0.67
C -1.567 -0.522 1.475  -0.42
C -0.540 1.407 0.322  -0.42
C 0.173 -0.143 -1.999  -0.31
H 1.637 0.442 1.931  0.48
H -1.280 1.959 0.931  0.21
H -1.239 -0.608 2.509  0.20
H -2.380 0.229 1.366  0.18
H 0.107 -0.808 -2.860  0.23
H 0.389 1.742 0.764  0.19
H 1.847 0.450 -0.818  0.38
H -2.123 -1.445 1.242  0.23
H 2.036 -0.852 -1.740  0.36
____________

Worked solution >
Density functional theory data (ωB97M-V/def2-TZVPD) for the molecule C16H19N3O6 in a non-equilibrium geometry.

Cartesian coordinates (Å):
C1 -3.209 -2.666 -0.726
C2 -4.384 -1.743 -0.449
O1 -3.953 -0.405 -0.588
C3 -4.989 0.540 -0.434
C4 -4.423 1.948 -0.604
C5 -3.503 2.349 0.549
N1 -2.312 1.534 0.580
C6 -1.079 2.066 0.517
O2 -0.847 3.258 0.519
C7 0.043 1.055 0.477
C8 -0.302 -0.282 0.720
N2 -0.639 -1.360 0.946
C9 1.287 1.530 0.247
C10 2.547 0.835 0.156
C11 2.666 -0.564 0.268
C12 3.887 -1.197 0.185
O3 4.083 -2.527 0.285
C13 2.966 -3.361 0.497
C14 5.075 -0.437 -0.023
O4 6.220 -1.098 -0.094
C15 4.944 0.958 -0.139
N3 6.084 1.788 -0.351
O5 5.923 2.981 -0.451
O6 7.186 1.247 -0.424
C16 3.697 1.580 -0.051
H1 -3.517 -3.700 -0.601
H2 -2.856 -2.519 -1.743
H3 -2.394 -2.448 -0.041
H4 -5.205 -1.940 -1.156
H5 -4.769 -1.903 0.570
H6 -5.771 0.358 -1.188
H7 -5.451 0.433 0.562
H8 -5.253 2.653 -0.658
H9 -3.867 1.990 -1.541
H10 -3.182 3.388 0.443
H11 -4.037 2.241 1.501
H12 -2.464 0.543 0.430
H13 1.335 2.606 0.117
H14 1.775 -1.146 0.422
H15 2.253 -3.295 -0.331
H16 2.456 -3.118 1.434
H17 3.366 -4.371 0.552
H18 6.956 -0.454 -0.238
H19 3.655 2.655 -0.144

## Properties
**Max |F|**: 1.45 eV/Å
**Kohn-Sham gap**: 7.8 eV
**Structure (SMILES)**: CCOCCCNC(=O)/C(C#N)=C/c1cc(OC)c(O)c([N+](=O)[O-])c1
**LUMO**: -0.9 eV
**HOMO energy**: -8.71 eV


DFT (the ωB97M-V functional and the def2-TZVPD basis) results for 2 unconnected molecules or ions with the total composition C4H12N2O2 at a distorted geometry.

Last column: natural (NBO) charge in e.
Geometry (Å):
O -0.872 -1.066 1.868  -0.60
O 2.840 -2.270 0.460  -0.93
N -0.771 1.080 1.216  -0.68
N 0.628 2.354 -0.289  -0.87
C -1.491 -0.853 -0.409  -0.53
C -1.047 -0.319 0.977  0.70
C -0.247 -1.160 -1.258  -0.61
C -0.742 2.043 0.046  -0.05
H 0.774 2.345 -1.370  0.36
H 1.382 1.728 0.026  0.38
H -1.237 3.124 0.620  0.14
H -0.037 1.308 2.027  0.41
H 3.655 -2.696 0.802  0.46
H 0.703 -0.562 -0.828  0.21
H 2.559 -1.903 1.287  0.46
H -2.417 -0.328 -0.664  0.23
H -0.177 -0.728 -2.262  0.22
H -0.056 -2.207 -1.209  0.23
H -1.506 1.989 -0.773  0.22
H -1.943 -1.880 -0.269  0.24

Computed properties:
- structure (SMILES) = CCC(=O)NCN.O
- relative energy (zero: lowest compared OMol25 entry of this formula, charge and spin) (kcal per mole) = 82.0
- total charge = 0
- energy (eV) = -11415.6592



DFT (the ωB97M-V functional and the def2-TZVPD basis) results for C4H12N2O2 in the gas phase at a distorted geometry.

Last column: natural (NBO) charge in e.
Geometry (Å):
O -1.819 -0.617 0.953  -0.74
O -2.238 1.037 -0.648  -0.72
N 0.686 -0.940 -0.532  -0.63
N 1.431 1.306 -0.604  -0.85
C -1.873 -0.300 -0.414  0.33
C 0.943 0.246 0.261  0.11
C -0.530 -0.943 -1.266  -0.23
C 1.929 -0.058 1.379  -0.62
H 1.735 2.121 -0.085  0.36
H -0.462 -0.275 -2.128  0.19
H 2.904 -0.290 0.958  0.22
H 0.728 1.599 -1.270  0.35
H 2.033 0.811 2.023  0.21
H -2.716 -0.841 -0.869  0.14
H -2.664 -0.383 1.356  0.48
H -0.085 0.534 0.678  0.14
H -0.777 -1.962 -1.557  0.21
H 1.585 -0.898 1.980  0.21
H 0.750 -1.760 0.060  0.37
H -1.561 1.615 -0.274  0.47

Computed properties:
- structure (SMILES) = C[C@@H](N)NCC(O)O
- relative energy (zero: lowest compared OMol25 entry of this formula, charge and spin) (kcal per mole) = 52.7
- total charge = 0
- energy (eV) = -11416.9332



DFT (the ωB97M-V functional and the def2-TZVPD basis) results for 2 unconnected molecules or ions with the total composition C4H12N2O2 at a distorted geometry.

Last column: natural (NBO) charge in e.
Geometry (Å):
O -0.448 -2.050 -0.720  -0.60
O 2.160 -0.207 1.447  -0.97
N -0.550 -0.095 0.510  -0.48
N 1.593 0.058 -1.728  -0.83
C -0.414 -0.848 -0.703  0.67
C -1.567 -0.522 1.475  -0.42
C -0.540 1.407 0.322  -0.42
C 0.173 -0.143 -1.999  -0.31
H 1.637 0.442 1.931  0.48
H -1.280 1.959 0.931  0.21
H -1.239 -0.608 2.509  0.20
H -2.380 0.229 1.366  0.18
H 0.107 -0.808 -2.860  0.23
H 0.389 1.742 0.764  0.19
H 1.847 0.450 -0.818  0.38
H -2.123 -1.445 1.242  0.23
H 2.036 -0.852 -1.740  0.36